This record from the Materials Project describes a relaxed RbZnH2Se2BrO6 crystal. The functional is PBE-GGA.

The energy relative to the elements is -137.7 kJ per mole of atoms.

POSCAR file:
```
RbZnH2Se2BrO6
1.0
6.5659 0.0000 0.0000
0.0000 6.2399 0.0000
-2.4331 0.0000 10.6765
Rb Zn H Se Br O
2 2 4 4 2 12
direct
0.0000 0.1626 0.2500 Rb
0.0000 0.8374 0.7500 Rb
0.5000 0.4504 0.7500 Zn
0.5000 0.5496 0.2500 Zn
0.0719 0.3434 0.5914 H
0.0719 0.6566 0.0914 H
0.9281 0.3434 0.9086 H
0.9281 0.6566 0.4086 H
0.2937 0.3154 0.9866 Se
0.2937 0.6846 0.4866 Se
0.7063 0.3154 0.5134 Se
0.7063 0.6846 0.0134 Se
0.5000 0.0543 0.7500 Br
0.5000 0.9457 0.2500 Br
0.0322 0.2189 0.9217 O
0.0322 0.7811 0.4217 O
0.2421 0.4523 0.1157 O
0.2421 0.5477 0.6157 O
0.3161 0.4790 0.3856 O
0.3161 0.5210 0.8856 O
0.6839 0.4790 0.1144 O
0.6839 0.5210 0.6144 O
0.7579 0.4523 0.3843 O
0.7579 0.5477 0.8843 O
0.9678 0.2189 0.5783 O
0.9678 0.7811 0.0783 O
```

----------

DFT (PBE) results for an optimized crystal structure of BaMg6W.

It has space group P4/mmm (No. 123), with a = 6.6823 Å, b = 6.6823 Å, c = 4.3651 Å, α = 90.00°, β = 90.00° and γ = 90.00°. The inequivalent atoms are Ba at (0.0000, 0.0000, 0.0000), Mg at (0.0000, 0.5000, 0.0000), Mg at (0.2886, 0.2886, 0.5000) and W at (0.5000, 0.5000, 0.0000).

The calculation puts the spin magnetization at 0.01 Bohr magnetons per cell. Its total energy is -0.0992 hartree per atom. The calculated formation energy comes out at 2.87 eV per formula unit. Its crystal system is tetragonal. The calculated volume comes out at 24.4 Å³/atom.

----------

First-principles (PBE) data for Tm2CdPd2 after structural relaxation, as listed in Materials Project.

Values from the calculation:
Total DFT energy (no corrections)   -24.36 eV per formula unit

Cell lengths 7.668, 7.668, 3.688 Å; angles 90.00, 90.00, 90.00 degrees
Space group P4/mbm (No. 127)
Unique sites:
Tm (0.172, 0.328, 0.000) x4
Cd (0.000, 0.000, 0.500) x2
Pd (0.129, 0.629, 0.500) x4

Give back the rows further up from the first line to the one with "0.2937 0.3154" word for word.

This record from the Materials Project describes a relaxed RbZnH2Se2BrO6 crystal. The functional is PBE-GGA.

The energy relative to the elements is -137.7 kJ per mole of atoms.

POSCAR file:
```
RbZnH2Se2BrO6
1.0
6.5659 0.0000 0.0000
0.0000 6.2399 0.0000
-2.4331 0.0000 10.6765
Rb Zn H Se Br O
2 2 4 4 2 12
direct
0.0000 0.1626 0.2500 Rb
0.0000 0.8374 0.7500 Rb
0.5000 0.4504 0.7500 Zn
0.5000 0.5496 0.2500 Zn
0.0719 0.3434 0.5914 H
0.0719 0.6566 0.0914 H
0.9281 0.3434 0.9086 H
0.9281 0.6566 0.4086 H
0.2937 0.3154 0.9866 Se